**Wanted**
Count the lines underneath that contain the word "total" and give the number alone.

**Entries**
+++
1.
# MnSb2F12, relaxed, DFT PBE with a Hubbard U
# total magnetization	5.00	μB per cell
# V	15.88	Å³ per atom
# uncorrected energy	-4.931	eV/atom
# N(E_F)	0.000	states/eV per atom
data_MnSb2F12
_chemical_formula_sum 'Mn1 Sb2 F12'
_space_group_name_H-M_alt 'P -1'
_space_group_IT_number 2
_cell_length_a 5.389
_cell_length_b 5.401
_cell_length_c 9.620
_cell_angle_alpha 78.69
_cell_angle_beta 82.52
_cell_angle_gamma 60.28
loop_
_space_group_symop_operation_xyz
'x,y,z'
'-x,-y,-z'
loop_
_atom_site_label
_atom_site_fract_x
_atom_site_fract_y
_atom_site_fract_z
Mn1 0.000 0.000 0.000
Sb1 0.317 0.254 0.259
F1 0.003 0.746 0.636
F2 0.067 0.598 0.127
F3 0.275 0.040 0.126
F4 0.352 0.503 0.357
F5 0.372 0.750 0.877
F6 0.405 0.095 0.644



2.
# MnSb2F12, relaxed, DFT PBE with a Hubbard U
# total magnetization	5.00	μB per cell
# V	15.57	Å³ per atom
# uncorrected energy	-4.932	eV/atom
# N(E_F)	0.000	states/eV per atom
data_MnSb2F12
_chemical_formula_sum 'Mn1 Sb2 F12'
_space_group_name_H-M_alt 'P -1'
_space_group_IT_number 2
_cell_length_a 5.330
_cell_length_b 5.647
_cell_length_c 9.197
_cell_angle_alpha 73.95
_cell_angle_beta 88.73
_cell_angle_gamma 62.22
loop_
_space_group_symop_operation_xyz
'x,y,z'
'-x,-y,-z'
loop_
_atom_site_label
_atom_site_fract_x
_atom_site_fract_y
_atom_site_fract_z
Mn1 0.000 0.000 0.000
Sb1 0.274 0.505 0.740
F1 0.017 0.274 0.425
F2 0.037 0.721 0.873
F3 0.098 0.263 0.815
F4 0.449 0.739 0.073
F5 0.450 0.735 0.708
F6 0.474 0.744 0.361



3.
# MnSbF2, relaxed, DFT PBE with a Hubbard U
# total magnetization	16.02	μB per cell
# V	16.22	Å³ per atom
# offset from the most stable computed form	0.9125	eV/atom
# N(E_F)	0.657	states/eV per atom
data_MnSbF2
_chemical_formula_sum 'Mn4 Sb4 F8'
_space_group_name_H-M_alt 'F m -3 m'
_space_group_IT_number 225
_space_group_name_Hall '-F 4 2 3'
_cell_length_a 6.378
_cell_length_b 6.378
_cell_length_c 6.378
_cell_angle_alpha 90.00
_cell_angle_beta 90.00
_cell_angle_gamma 90.00
loop_
_atom_site_label
_atom_site_fract_x
_atom_site_fract_y
_atom_site_fract_z
Mn1 0.000 0.000 0.000
Sb1 0.000 0.000 0.500
F1 0.250 0.250 0.250



4.
# MnSb4F12, relaxed, DFT PBE with a Hubbard U
# total magnetization	14.03	μB per cell
# V	19.63	Å³ per atom
# uncorrected energy	-4.751	eV/atom
# N(E_F)	0.249	states/eV per atom
data_MnSb4F12
_chemical_formula_sum 'Mn2 Sb8 F24'
_space_group_name_H-M_alt 'I m m m'
_space_group_IT_number 71
_space_group_name_Hall '-I 2 2'
_cell_length_a 8.496
_cell_length_b 8.831
_cell_length_c 8.898
_cell_angle_alpha 90.00
_cell_angle_beta 90.00
_cell_angle_gamma 90.00
loop_
_atom_site_label
_atom_site_fract_x
_atom_site_fract_y
_atom_site_fract_z
Mn1 0.000 0.000 0.000
Sb1 0.250 0.250 0.250
F1 0.000 0.313 0.282
F2 0.164 0.185 0.000
F3 0.174 0.000 0.237



5.
# MnSbF, relaxed, DFT PBE with a Hubbard U
# total magnetization	19.38	μB per cell
# V	22.94	Å³ per atom
# uncorrected energy	-5.518	eV/atom
# N(E_F)	0.253	states/eV per atom
data_MnSbF
_chemical_formula_sum 'Mn4 Sb4 F4'
_space_group_name_H-M_alt 'C 1 2/m 1'
_space_group_IT_number 12
_cell_length_a 14.158
_cell_length_b 3.263
_cell_length_c 6.069
_cell_angle_alpha 90.00
_cell_angle_beta 101.03
_cell_angle_gamma 90.00
loop_
_space_group_symop_operation_xyz
'x,y,z'
'-x,-y,-z'
'-x,y,-z'
'x,-y,z'
'x+1/2,y+1/2,z'
'-x+1/2,-y+1/2,-z'
'-x+1/2,y+1/2,-z'
'x+1/2,-y+1/2,z'
loop_
_atom_site_label
_atom_site_fract_x
_atom_site_fract_y
_atom_site_fract_z
Mn1 0.161 0.000 0.301
Sb1 0.173 0.000 0.819
F1 0.075 0.500 0.301



6.
# Mn3SbF, relaxed, DFT PBE with a Hubbard U
# total magnetization	15.23	μB per cell
# V	33.52	Å³ per atom
# offset from the most stable computed form	0.6612	eV/atom
# N(E_F)	0.645	states/eV per atom
data_Mn3SbF
_chemical_formula_sum 'Mn3 Sb1 F1'
_space_group_name_H-M_alt 'P m -3 m'
_space_group_IT_number 221
_space_group_name_Hall '-P 4 2 3'
_cell_length_a 5.514
_cell_length_b 5.514
_cell_length_c 5.514
_cell_angle_alpha 90.00
_cell_angle_beta 90.00
_cell_angle_gamma 90.00
loop_
_atom_site_label
_atom_site_fract_x
+++

**Solution**
6